
Friday, June 28, 2013

<<<
Run P
Density functional theory data (PBE) for an optimized crystal structure of ZrTlTe3Au.

```
ZrTlTe3Au
1.0
13.119 0.000 0.000
0.000 4.343 0.000
0.000 0.000 12.027
Zr Tl Te Au
4 4 12 4
Cartesian
0.120 1.086 2.187 Zr
6.440 3.258 8.200 Zr
6.679 1.086 3.827 Zr
13.000 3.258 9.841 Zr
2.682 1.086 5.484 Tl
3.878 3.258 11.497 Tl
9.242 1.086 0.530 Tl
10.437 3.258 6.544 Tl
0.148 3.258 4.188 Te
1.255 1.086 11.433 Te
2.618 3.258 8.249 Te
3.941 1.086 2.236 Te
5.304 3.258 5.419 Te
6.412 1.086 10.202 Te
6.707 3.258 1.826 Te
7.815 1.086 6.608 Te
9.178 3.258 9.792 Te
10.501 1.086 3.778 Te
11.864 3.258 0.594 Te
12.972 1.086 7.839 Te
2.380 3.258 2.699 Au
4.179 1.086 8.713 Au
8.940 3.258 3.314 Au
10.739 1.086 9.328 Au
```

Calculated density in kg/m³: 8484
Space group: No. 62

Run Q
Density functional theory data (PBE) for an optimized crystal structure of ZrTlTe3Au.

```
ZrTlTe3Au
1.0
8.455 0.000 0.000
0.000 4.466 0.000
0.000 0.000 18.279
Zr Tl Te Au
4 4 12 4
Cartesian
2.024 1.117 0.893 Zr
2.204 3.350 10.032 Zr
6.251 1.117 8.247 Zr
6.431 3.350 17.386 Zr
1.248 1.117 14.826 Tl
2.979 3.350 5.686 Tl
5.476 1.117 12.592 Tl
7.206 3.350 3.453 Tl
0.027 1.117 10.499 Te
1.062 3.350 17.492 Te
1.360 1.117 3.668 Te
2.868 3.350 12.807 Te
3.166 1.117 8.353 Te
4.200 3.350 1.360 Te
4.255 1.117 16.919 Te
5.289 3.350 9.926 Te
5.587 1.117 5.472 Te
7.095 3.350 14.611 Te
7.393 1.117 0.786 Te
8.427 3.350 7.780 Te
0.126 3.350 12.246 Au
4.101 1.117 3.106 Au
4.354 3.350 15.172 Au
8.329 1.117 6.033 Au
```

Calculated density in kg/m³: 8424
Space group: No. 62

Which structure is the least stable? The one labeled run Q.

Run P
Density functional theory data (PBE) for an optimized crystal structure of ThWAu.

```
ThWAu
1.0
0.000 3.447 3.447
3.447 0.000 3.447
3.447 3.447 0.000
Th W Au
1 1 1
Cartesian
0.000 0.000 0.000 Th
1.724 1.724 1.724 W
5.171 5.171 5.171 Au
```

Calculated density in kg/m³: 12421
Space group: No. 216

Run Q
Density functional theory data (PBE) for an optimized crystal structure of ThWAu.

```
ThWAu
1.0
0.000 3.316 3.316
3.316 0.000 3.316
3.316 3.316 0.000
Th W Au
1 1 1
Cartesian
0.000 0.000 0.000 Th
1.658 1.658 1.658 W
3.316 3.316 3.316 Au
```

Calculated density in kg/m³: 13953
Space group: No. 216

Which structure is the least stable? The one labeled run P.

Run P
Density functional theory data (PBE) for an optimized crystal structure of Tl5Au.

```
Tl5Au
1.0
-3.962 3.962 2.783
3.962 -3.962 2.783
3.962 3.962 -2.783
Tl Au
5 1
Cartesian
0.000 0.000 0.000 Tl
2.933 1.269 0.000 Tl
2.694 -1.030 2.783 Tl
1.269 4.992 0.000 Tl
1.030 2.694 2.783 Tl
0.000 0.000 2.783 Au
```

Calculated density in kg/m³: 11581
Space group: No. 87

Run Q
Density functional theory data (PBE) for an optimized crystal structure of Tl5Au.

```
Tl5Au
1.0
7.140 0.000 0.000
0.000 15.102 0.000
0.000 0.000 6.451
Tl Au
20 4
Cartesian
0.418 1.868 0.923 Tl
0.418 5.683 0.923 Tl
0.931 11.326 2.450 Tl
1.119 0.866 4.232 Tl
1.119 6.685 4.232 Tl
2.451 8.417 1.007 Tl
2.451 14.236 1.007 Tl
2.639 3.775 5.675 Tl
>>>
-- End of the materials data --

LTR 2 RTL Part 2: Our Home Library and Guided Reading Levels

Our home library. Before we moved I had three full bookshelves in the master bedroom, two half-sized bookshelves in the boys' room (one held toys,) and shelves downstairs for homeschooling books. None of the full bookshelves survived the trip in the moving van. Two completely fell apart (they were the put together yourself sets from Walmart) and the third split in half with one half okay and the other in pieces. Of the three half-sized bookshelves we had, two survived mostly intact, one fell apart. (And when I say "fell apart" I mean there's no putting these things back together.) And because of the move, we're broke until the next tax return next year, so no replacement shelves for almost a year. (I'm not buying cheep this time around!) With 1/3 the book holding capacity that we used to have, that means all of "my" books are staying in boxes. The homeschooling books are in an armoire in the play room and the kids' books are the only ones who get any shelf space. Because I've been so sick, there are still a LOT of unpacked boxes hanging around. And some of them must be unlabeled holding kid books, because I know I have to have more than what's on the shelves now (and what's in the boys' room bedtime reading basket and in Builder Boy's bed. Yup, you read that right, my 6 year old insists on sleeping with his nine Magic School Bus books.)
Builder Boy's Bed of Books

Inserted here: data records >
'''
Computed, not measured: crystalline LiBeAu2 at its relaxed geometry at the GGA-PBE level of DFT.

Lattice parameters (Å, degrees): 4.353 2.900 4.354 90.01 90.00 90.00
Sites, in units of the cell vectors:
Au: 0.000 0.125 0.875
Au: 0.500 0.125 0.375
Li: 0.500 0.625 0.875
Be: 0.000 0.624 0.375

Calculated values
The value obtained for the total moment is 0.0 μB/cell. The value obtained for the electronic total energy is -3.3863 eV/atom. Its calculated formation energy is -0.338 eV per atom. The symmetry is P4/mmm (123).

----------

Entry 1:
VASP calculation (PBE) on PmPrCO after structural relaxation.

raw formation energy	-1459	meV per atom
crystal system	trigonal

Cell and atoms, written as extended XYZ:
```
4
Lattice="1.851 1.068 6.004 -1.851 1.068 6.004 0.000 -2.137 6.004" Properties=species:S:1:pos:R:3 pbc="T T T"
Pm 0.000 0.000 0.000
Pr 0.000 0.000 8.952
C 0.000 0.000 13.473
O 0.000 0.000 4.539
```

---

Entry 2:
VASP calculation (PBE) on Ti5Al2In after structural relaxation.

crystal system	tetragonal
energy of formation from the pure elements	-0.17	eV per atom

Cell and atoms, written as extended XYZ:
```
16
Lattice="-3.525 3.525 5.663 3.525 -3.525 5.663 3.525 3.525 -5.663" Properties=species:S:1:pos:R:3 pbc="T T T"
Ti 0.000 0.000 0.000
Ti 2.456 -1.069 1.784
Ti 4.594 -1.069 3.879
Ti 4.594 1.069 1.784
Ti 2.456 1.069 3.879
Ti 0.000 0.000 5.663
Ti 1.069 2.456 1.784
Ti -1.069 2.456 3.879
Ti -1.069 4.594 1.784
Ti 1.069 4.594 3.879
Al 2.529 0.997 0.000
Al 2.529 -0.997 5.663
Al 0.997 4.522 0.000
Al 0.997 2.529 5.663
In 0.000 0.000 2.832
In 0.000 0.000 8.495
```

---

Number 1: Fermi-level density of states 0.301 states/eV/atom, calculated volume 17.8 Å³/atom. Number 2: Fermi-level density of states 1.419 states/eV/atom, calculated volume 17.6 Å³/atom.

----------

# 1
Compound: SrLuTlBi
Source: Alexandria
Functional: PBE-GGA
Structure: relaxed

Results
The calculation puts the total moment at 0.000 μB per atom. As for the formation energy: -0.37 eV per atom. Its density is 9.02 g cm⁻³.

Cell lengths 5.6033, 5.6033, 5.6033 Å; angles 60.00, 60.00, 60.00 degrees
Last column: nearest neighbours and their distance in Å.
Sites, in units of the cell vectors:
Bi 0.5000 0.5000 0.5000  4 Sr 3.43, 4 Lu 3.43
Tl 0.0000 0.0000 0.0000  4 Sr 3.43, 4 Lu 3.43
Lu 0.2500 0.2500 0.2500  4 Tl 3.43, 4 Bi 3.43
Sr 0.7500 0.7500 0.7500  4 Bi 3.43, 4 Tl 3.43



# 2
Compound: Ba3Ce2PmTe6
Source: Alexandria
Functional: PBE-GGA
Structure: relaxed

Results
The calculation puts the total moment at 0.235 μB per atom. The uncorrected formation energy is -1.540 eV per atom. Its density is 5.93 g cm⁻³.

Cell lengths 8.0889, 8.0889, 8.3637 Å; angles 99.27, 99.27, 119.96 degrees
Last column: nearest neighbours and their distance in Å.
Sites, in units of the cell vectors:
Te 0.0747 0.4064 0.2243  1 Pm 3.22, 2 Ce 3.24, 3 Ba 3.46-3.48
Te 0.9253 0.5936 0.7757  1 Pm 3.22, 2 Ce 3.24, 3 Ba 3.46-3.48
Te 0.2567 0.2567 0.7753  1 Pm 3.22, 2 Ce 3.24, 3 Ba 3.46-3.48
'''

Thursday I sat down in front of my home library to label the books with their Guided Reading Level. I got this idea from Jen at and her "Learning to Read' to 'Reading to Learn" suggestions. However, my past super pickiness when it comes to purchasing books and the fact that I'm still missing some boxes of books means that I didn't have many books on the list I was suppose to be working from. So instead of taking a book off the shelf and looking it up on the alphabetical list, I scanned the 1st and 2nd grade lists by level and when I saw the title of a book I knew I had I pulled it off the shelf and labeled it. That may not work for most people, and certainly not for someone who has more common books than I do, but it worked for me. I don't have enough books that I felt I needed to Organize My Home Library like Jen suggests; but when I acquire more books and my kids get older, I probably will. For now, what I have works for me. I do love her idea of having a "return" basket so the books are returned to their proper place and as a way to keep track of what your child is reading independently. Trouble is, my kids don't read independently. Yet. That's one of the things we're going to be working on. And now that I have at least a few books labeled with their levels, I can more confidently say to Builder Boy "I know you can read this all on your own; I really want you to try."

I was hoping that I could use the Guided Reading Levels books to further assess Builder Boy's reading level, but labeling the books left me somewhat skeptical. So far the various assessments I have used seems to place Builder Boy at a late 2nd grade/beginning 3rd grade level. But looking at the levels they placed some of the books we have, the list seems to have a higher expectation of 1st and 2nd graders than the other assessments I was using. Part of this is probably because I am very strict about phonics only because of my sight word phobia. But when I put several books next to each other that were labeled with the same level, I was even more skeptical.

The following is a PBE-GGA calculation of a geometry-optimized Sm5ZnGa4 structure, from Alexandria.

```
data_Sm5ZnGa4
_chemical_formula_sum 'Sm5 Zn1 Ga4'
_symmetry_space_group_name_H-M 'P 4/m m m'
_symmetry_Int_Tables_number 123
_symmetry_space_group_name_Hall '-P 4 2'
_cell_length_a 3.645
_cell_length_b 3.645
_cell_length_c 18.304
_cell_angle_alpha 90.00
_cell_angle_beta 90.00
_cell_angle_gamma 90.00
loop_
_atom_site_label
_atom_site_fract_x
_atom_site_fract_y
_atom_site_fract_z
_atom_site_occupancy
Sm1 0.000 0.000 0.000 1
Sm2 0.000 0.000 0.200 1
Sm3 0.000 0.000 0.401 1
Zn1 0.500 0.500 0.500 1
Ga1 0.500 0.500 0.100 1
Ga2 0.500 0.500 0.302 1
```

Computed properties:
E ... -42.19 eV for the cell shown
D(E_F) ... 0.644 states/eV per atom
Mass density ... 7.48 Mg/m³


The following is a PBE-GGA calculation of a geometry-optimized Sm5Zn2Ga structure, from Alexandria.

```
data_Sm5Zn2Ga
_chemical_formula_sum 'Sm20 Zn8 Ga4'
_symmetry_space_group_name_H-M 'I 4/m c m'
_symmetry_Int_Tables_number 140
_symmetry_space_group_name_Hall '-I 4 2c'
_cell_length_a 7.519
_cell_length_b 7.519
_cell_length_c 15.398
_cell_angle_alpha 90.00
_cell_angle_beta 90.00
_cell_angle_gamma 90.00
loop_
_atom_site_label
_atom_site_fract_x
_atom_site_fract_y
_atom_site_fract_z
_atom_site_occupancy
Sm1 0.000 0.000 0.000 1
Sm2 0.169 0.331 0.152 1
Zn1 0.119 0.381 0.500 1
Ga1 0.000 0.000 0.250 1
```

Computed properties:
E ... -125.69 eV for the cell shown
D(E_F) ... 0.981 states/eV per atom
Mass density ... 7.27 Mg/m³


The following is a PBE-GGA calculation of a geometry-optimized Sm2Zn3Ga5 structure, from Alexandria.

```
data_Sm2Zn3Ga5
_chemical_formula_sum 'Sm8 Zn12 Ga20'
_symmetry_space_group_name_H-M 'I b a m'
_symmetry_Int_Tables_number 72
_symmetry_space_group_name_Hall '-I 2 2c'
_cell_length_a 10.728
_cell_length_b 11.938
_cell_length_c 5.944
_cell_angle_alpha 90.00
_cell_angle_beta 90.00
_cell_angle_gamma 90.00
loop_
_atom_site_label
_atom_site_fract_x
_atom_site_fract_y
_atom_site_fract_z
_atom_site_occupancy
Sm1 0.248 0.126 0.000 1
Zn1 0.000 0.500 0.250 1
Zn2 0.133 0.127 0.500 1
Ga1 0.000 0.000 0.250 1
Ga2 0.000 0.254 0.250 1
Ga3 0.141 0.380 0.000 1
```

Computed properties:
E ... -132.00 eV for the cell shown
D(E_F) ... 0.232 states/eV per atom
Mass density ... 7.38 Mg/m³


The following is a PBE-GGA calculation of a geometry-optimized Sm6ZnGa2 structure, from Alexandria.

```
data_Sm6ZnGa2
_chemical_formula_sum 'Sm24 Zn4 Ga8'
_symmetry_space_group_name_H-M 'I m m m'
_symmetry_Int_Tables_number 71
_symmetry_space_group_name_Hall '-I 2 2'
_cell_length_a 9.859
_cell_length_b 9.912
_cell_length_c 10.478
_cell_angle_alpha 90.00
_cell_angle_beta 90.00
_cell_angle_gamma 90.00
loop_
_atom_site_label
_atom_site_fract_x
_atom_site_fract_y
_atom_site_fract_z
_atom_site_occupancy
Sm1 0.000 0.208 0.174 1
Sm2 0.175 0.232 0.500 1
Sm3 0.196 0.500 0.252 1
Zn1 0.000 0.500 0.000 1
Zn2 0.000 0.500 0.500 1
Ga1 0.000 0.000 0.378 1
Ga2 0.146 0.000 0.000 1
```

Computed properties:

Is Hop on Pop really the same level as a Franklin book? Early Bird could read Hop on Pop....eons ago! (Okay, maybe just a year or so ago.) Does that mean he can also read a whole Franklin book? He read half of Franklin's Halloween to me the other night, but there were still words in there he didn't know. Hop on Pop is all decodable phonics with short sentences, big type, and only two sentences at the most on a page. Franklin books are much smaller print with paragraphs on every other page, and a lot of more advanced/complex words. (These are level J, beginning of 2nd grade)

Then I saw that Doctor De Soto and the Magic Tree House books were considered the same level (level M, 2.75) and I really couldn't believe it! That little picture book was the same level as a chapter book? But when I sat down with Builder Boy and read it I remembered that there are a lot of technical terms in that book. That made a bit more sense, and then I wondered if the average 2nd grader really could read it on their own.

Builder Boy is currently very close to loosing a tooth, and this has made him extra emotional and getting him to read a "whole" one of these books to assess his Guided Reading Level has not happened. It's made me realize that while he has a good reading vocabulary, his fluency, expression, and stamina have been neglected. I haven't encouraged independent reading before now because I wanted to make sure he was reading all the words right and wasn't skipping. But I need to step back and encourage him to start reading on his own or I'm going to inhibit him and keep him from developing confidence in his abilities. In that sense, this assessment has probably taught me more about myself and my parenting/teaching than it has about what Builder Boy is capable of. Most of all, it's giving me a good idea of some gaps and what I need to work on.


  1. You've got a really good start there! Is there an Ikea near you? I get the clothes organization boxes and use those for my guided reading bins. But shoeboxes would work too. A cheap way to get books is at library sales, but you probably already know that. :)

  2. Before I moved and lost my free babysitting I would spend a LOT of time browsing through the thrift store bookshelves. That's why I know I HAVE to have more books somewhere...And sadly, NO Ikea in my entire state! But I have some colorful plastic baskets I got at the dollar store a while back that will probably work for organizing books.
